
ESP8266 WiFi module

ESP8266 module allows to use RemoteXY with microcontroller device for Wi-Fi. Implemented support for all Arduino boards. The source code of GUI can be download for the Arduino IDE and PLProg.

To use the ESP8266 module to select this module in the properties configuration settings.

RemoteXY allows to configure module for operate in one of two modes: access point and client. Client allows to connect the module to an existing Wi-Fi access point.

Access point mode of ESP8266 configures the module as an access point and allows to connect Arduino directly to this point. The access point is available to connect to it from smartphone or tablet within a radius of availability of the radio signal. It does not require any other network infrastructure. This connection mode can be used in the far away place where there is no computer networks and the Internet. To configure this mode in the configuration properties of editor need to select the type of connection "Wi-Fi access point."

Client mode of ESP8266 configures the module for automatically connect to an existing Wi-Fi access point, such as a home router or enterprise access point. At the same time connected to the Arduino module ESP8266 must be located in the physical availability of the radio signal of access point. Connecting to the device from smartphone or tablet will be not directly, but through the Ethernet network, an IP address provided by the DHCP server to ESP8266 module. It allows to connect to the Arduino device from anywhere in the local network as well as from the Internet. Connect from the Internet is possible with the correct configuration of the router, such as the use of the virtual server. To configure this mode in the configuration properties of editor need to select the connection type "Ethernet" and select ESP8266 module.

The module is connected to the microcontroller board via serial interface. You can choose to use software serial or hardware serial. Module connection option is selected in the module interface settings of editor. The module is controlled via AT commands.

== Data records, as found in the file ==
~~~
Entry 1:
Here is a relaxed structure of ZnH2Br2 from Alexandria. Energies are from PBE.

Summary:
- Total magnetic moment: 0.0 μB per cell
- E above lowest polymorph: 0.000 eV per atom

abc: 10.1701 10.1701 3.2393
angles: 90.00 90.00 90.00
Positions (direct):
Zn  0.0000  0.0000  0.0000
Zn  0.5000  0.5000  0.0000
H  0.1910  0.3090  0.5000
H  0.3090  0.8090  0.5000
H  0.6910  0.1910  0.5000
H  0.8090  0.6910  0.5000
Br  0.1518  0.3482  0.0000
Br  0.3482  0.8482  0.0000
Br  0.6518  0.1518  0.0000
Br  0.8482  0.6518  0.0000

=====

Entry 2:
Here is a relaxed structure of Cs2Ga4Ge5 from Alexandria. Energies are from PBE.

Summary:
- DFT total energy: -3.26 eV per atom
- Total magnetic moment: 0.0 μB per cell

abc: 8.3127 8.3127 8.3127
angles: 136.92 127.85 69.89
Positions (direct):
Cs  0.2456  0.0000  0.2456
Cs  0.7544  0.0000  0.7544
Ga  0.0585  0.3387  0.7197
Ga  0.3810  0.6613  0.7197
Ga  0.6190  0.3387  0.2803
Ga  0.9415  0.6613  0.2803
Ge  0.0000  0.5000  0.5000
Ge  0.2912  0.0066  0.7155
Ge  0.2912  0.5757  0.2845
Ge  0.7088  0.4243  0.7155
Ge  0.7088  0.9934  0.2845

=====

Entry 3:
Here is a relaxed structure of Ca6Hg2Au from Alexandria. Energies are from PBE.

Summary:
- Total magnetic moment: 0.0 μB per cell
- E above lowest polymorph: 0.000 eV per atom

abc: 6.8974 8.2989 12.5210
angles: 90.00 123.26 90.00
Positions (direct):
Ca  0.0873  0.1763  0.4369
Ca  0.0873  0.3237  0.9369
Ca  0.2941  0.6804  0.4388
Ca  0.2941  0.8196  0.9388
Ca  0.3995  0.0359  0.2608
Ca  0.3995  0.4641  0.7608
Ca  0.6005  0.5359  0.2392
Ca  0.6005  0.9641  0.7392
Ca  0.7059  0.1804  0.0612
Ca  0.7059  0.3196  0.5612
Ca  0.9127  0.6763  0.0631
Ca  0.9127  0.8237  0.5631
Hg  0.1889  0.1200  0.7512
Hg  0.1889  0.3800  0.2512
Hg  0.8111  0.6200  0.7488
Hg  0.8111  0.8800  0.2488
Au  0.0000  0.0000  0.0000
Au  0.0000  0.5000  0.5000

=====

- What is the total magnetic moment in the first record?
  0.0 μB per cell

* * * * *

(1)
Below is an optimized crystal structure of CsAcSeO5, with properties calculated at the GGA-PBE level.

POSCAR file:
```
CsAcSeO5
1.0
4.115 -5.489 0.000
4.115 5.489 0.000
-3.825 0.000 7.709
Cs Ac Se O
2 2 2 10
direct
0.169 0.831 0.750
0.831 0.169 0.250
0.500 0.500 0.000
0.500 0.500 0.500
0.187 0.813 0.250
0.813 0.187 0.750
0.067 0.262 0.890
0.196 0.644 0.360
0.262 0.067 0.390
0.356 0.804 0.140
0.426 0.574 0.750
0.574 0.426 0.250
0.644 0.196 0.860
0.738 0.933 0.610
0.804 0.356 0.640
0.933 0.738 0.110
```

Properties
space group = C2/c (15)
calculated density = 4.95 g/cm³
energy relative to the elements, uncorrected = -172.9 kJ/mol of atoms
DFT total energy = -5.947 eV/atom


(2)
Below is an optimized crystal structure of Cs2AcSe2O6, with properties calculated at the GGA-PBE level.

POSCAR file:
```
Cs2AcSe2O6
1.0
5.472 -3.248 0.000
5.472 3.248 0.000
-3.017 0.000 7.546
Cs Ac Se O
2 1 2 6
direct
0.233 0.233 0.233
0.767 0.767 0.767
0.500 0.500 0.000
0.084 0.084 0.719
0.916 0.916 0.281
0.170 0.731 0.176
0.258 0.258 0.833
0.269 0.830 0.824
~~~
== The data records stop here ==

We recommend using the latest firmware for the ESP8266. Release AT_v0.40 or up. Use the tutorial update firmware of ESP8266.

Power of module can be provided from the DC-DC of Arduino board to 3.3V. Some boards, such as Arduino Nano can not provide sufficient power to output 3.3V, in this case, you need a separate power supply.

Connection via Software Serial

It allows to connect the module to an arbitrary microcontroller pins. The pins used must be select in the module interface settings of editor. Also in the settings must be select the baud rate for serial port. ESP8266 default configured to 115200 baud. To work through SoftwareSerial, must configure the transmission speed ESP8266 to a lower speed. Stable operation of the module is possible at a speed of no more than 19200 baud. To change the speed of module serial interface, must to connect it to the console to the possibility of the AT commands. Module serial interface speed can be changed with the AT command "AT+UART_DEF=19200,8,1,0,0".

There are some limitations on the use of the RX pin for Arduino boards. Limitations associated with do not support to pins interrupt of the microcontroller.

  • On Arduino RX doesn't work on pin 13;
  • On Mega and Mega2560 only the following can be used for RX: 10, 11, 12, 13, 14, 15, 50, 51, 52, 53, A8(62), A9(63), A10(64), A11(65), A12(66), A13(67), A14(68), A15(69);
  • On Leonardo and Micro only the following can be used for RX: 8, 9, 10, 11, 14, 15, 16;

Also, when using SoftwareSerial you should take the following limitations:

  • No ability to work at high baud rates. It is not recommended to use a baud rate of more than 19200.
  • Some libraries, which also uses interrupt may not work correctly. For example Servo library, the servos will twitch.

Example of ESP8266 module connecting via SoftwareSerial by pins 2(RX) and 3 (TX) on the picture. Please note that you must connect to pins the cross hairs, pin 2(RX) of Arduino to TX of ESP8266 module and pin 3(TX) to the RX pin of module.

Connection via Hardware Serial

It allows to connect the module to the microcontroller pins, supporting one of the hardware serial ports. For different Arduino boards are different ports and contacts. Hardware serial allows to work motule at a maximum connection speed of 115200 baud. The baud rate for Arduino is selected in the module interface settings of editor. ESP8266 must be to pre-configured to work at the same speed as the Arduino. The baud rate setting of module can be made via AT commands. Next Arduino serial ports are available:

  • Arduino UNO and Nano: Serial (RX-0, TX-1);
  • Arduino MEGA and MEGA2560: Serial (RX-0, TX-1), Serial1 (RX-19 и TX-18), Serial2 (RX-17 и TX-16), Serial3 (RX-15 и TX-14);

>Which port to use, and therefore the pins should be connected to the module, you must select in interface settings of editor. It should also be borne in mind that for Arduino boards Serial port enabled for the microcontroller programming, and if you decide to use this port, you must disconnect the ESP8266 module when programming it. A good solution is to use the boards Arduino MEGA any port other than Serial.

Example of HC-05(06) module connecting via HardwareSerial by pins 0(RX) and 1(TX) on the picture. Please note that you must connect to pins the cross hairs, pin 0(RX) of Arduino to TX of ESP8266 module and pin 1(TX) to the RX pin of module.